This thread is where we can post about how we are getting through the Covid-19 crisis. What is your life like now, and how are you managing the inevitable changes? What recommendations would you like to share? C'mon, let's help each other get through this together. I'd like to start with this: Zoom: Add a farm animal to your corporate video call for under $100 - Business Insider
For myself, very little changes. most noticeable to me, I can't volunteer. (No Lions Club meetings or community events, no community theater, no BBQ judging, I do not drive HS students to work study, I don't run sound at church, etc.) My wife travels less and when she does, it is less 'commercial'. She chartered a plane to take her and her posse* to Arecibo, PR this week. She rented a AirBnB for them all to stay at, including the pilot. The owner of the place fed them, rather than go to restaurants. I noticed lots of small hops to airports she does not frequent to get fuel. The rental car was still 'commercial' *She is an architect, but travels with a mechanical engineer, an electrical engineer, a civil engineer, a HVAC guy, a landscape architect, and a interior designer. Folks ask me if I travel with my wife, but she does not need another man to keep track of / bail out of jail / take to ER.
Our state has a healthy at home initiative. I have been concentrating on my garden as I am an avid gardener. I really enjoyed the gym but that is off the table and no forecast yet when they will open again. So I do some exercises at home in the basement and have become quite a walker. I have a pedometer and this week I didn't reset it for the whole week which allowed me to track my walking. This week I am currently at 61miles with Saturday and Sunday to go yet. I try to find the silver lining in situations - many people in our area are out walking and will stop and talk while maintaining the required 6 foot social distance and when I am in the garden people stop and talk to me from the street asking me how my garden is doing. I really enjoy those interactions We went through each room in the house organizing and getting rid of items we no longer needed including the garage and basement. We were able to get rid of a lot of 'stuff'. Our kitchen organization/cleanup made things much easier to find and made the room more usable. I am painting the house one room at a time We are saving money as our only trips in the healthy at home initiative for our state are to the grocery and the hardware store, and those would be once a week at the most. Our Governor asked each family to eat at carryout twice a week to help our restaurant industry get through this so we do that and it is a welcome extravagance. Things I miss - socializing at the gym/ especially playing pickleball Sunday mass attendance family type activities outside the home fishing ( I wade fish creeks and small rivers and this activity does not fit the stay healthy at home order for our state- to be out wading in a creek fishing while others can't even go to work yet) Things I am grateful for- our families health enough food to eat our parish church video masses each Sunday nice people who ask how you are and stop and talk some
Can you knit or chrochet? Here's something you can do... 12 Faux Wasp & Hornet Nest Decoy Patterns For Crocheters, Plus One For Knitters Too | KnitHacker
pretty much busines as usual around here, but the isolation is driving mrs b closer to the ledge. only thing i can do is donate to charities helping the poor and unemployed.
[Here the piece breaks off for calculated crystals]
'''
Entry 1:
## MnZnO2 (PBE with a Hubbard U)

Data for a geometry-optimized MnZnO2 structure.

Summary:
Crystal system ... triclinic
E (MP2020) ... -6.737 eV/atom
Total magnetic moment ... 4.50 μB/f.u.

abc: 3.1404 8.2080 8.2704
angles: 107.43 88.70 98.80
Atoms (fractional coordinates):
O: 0.1166 0.6221 0.3679
O: 0.2812 0.3576 0.8892
O: 0.7061 0.9896 0.2905
Mn: 0.2604 0.5152 0.1266
O: 0.9833 0.6692 0.0031
Zn: 0.5609 0.8347 0.0493
Zn: 0.6783 0.2024 0.1990
Mn: 0.8946 0.4670 0.7744
O: 0.5176 0.5685 0.6583
Zn: 0.2193 0.4159 0.4377
Mn: 0.6512 0.7644 0.5309
O: 0.8492 0.2627 0.5677
O: 0.6603 0.0443 0.9678
Zn: 0.1927 0.1008 0.8424
O: 0.2005 0.9351 0.6141
Mn: 0.2596 0.0898 0.4554

***

Entry 2:
## MnZnO3 (PBE with a Hubbard U)

Data for a geometry-optimized MnZnO3 structure.

Summary:
Crystal system ... cubic
E (MP2020) ... -6.311 eV/atom
Total magnetic moment ... 3.14 μB/f.u.

abc: 3.7388 3.7388 3.7388
angles: 90.00 90.00 90.00
Atoms (fractional coordinates):
Zn: 0.0000 0.0000 0.0000
O: 0.5000 0.0000 0.5000
Mn: 0.5000 0.5000 0.5000
O: 0.0000 0.5000 0.5000
O: 0.5000 0.5000 0.0000

***

Entry 3:
## MnZn4O5 (PBE with a Hubbard U)

Data for a geometry-optimized MnZn4O5 structure.

Summary:
E (MP2020) ... -5.715 eV/atom

abc: 3.3223 27.0376 5.7253
angles: 83.87 89.98 86.45
Atoms (fractional coordinates):
O: 0.1380 0.7235 0.4711
O: 0.3351 0.3283 0.6699
O: 0.6381 0.7235 0.9710
Mn: 0.8487 0.3011 0.5158
Zn: 0.5018 0.9962 0.8347
O: 0.8891 0.2228 0.5555
O: 0.1895 0.6240 0.8551
O: 0.6895 0.6240 0.3551
Zn: 0.0508 0.8978 0.7181
O: 0.9388 0.1254 0.2711
O: 0.4389 0.1254 0.7711
Zn: 0.6501 0.6995 0.3173
O: 0.5885 0.8226 0.2559
Zn: 0.7004 0.6001 0.0329
Zn: 0.2004 0.6001 0.5329
Zn: 0.2980 0.4029 0.6315
O: 0.7374 0.5247 0.0708
O: 0.0885 0.8226 0.7559
Zn: 0.2493 0.5012 0.9166
Mn: 0.3488 0.3011 0.0158
O: 0.4897 0.0198 0.1569
Zn: 0.1501 0.6995 0.8174
Mn: 0.9517 0.0982 0.6171
Zn: 0.6003 0.7988 0.9336
Mn: 0.4516 0.0982 0.1171
Zn: 0.5508 0.8978 0.2181
O: 0.5386 0.9213 0.8718
Zn: 0.1003 0.7988 0.4336
Zn: 0.7493 0.5012 0.4166
O: 0.8352 0.3283 0.1698
O: 0.7865 0.4261 0.4540
O: 0.9897 0.0198 0.6569
O: 0.2865 0.4261 0.9540
Zn: 0.4007 0.1996 0.7333
O: 0.3891 0.2228 0.0555
Zn: 0.7980 0.4029 0.1315
Zn: 0.0018 0.9962 0.3348
O: 0.0386 0.9213 0.3718
Zn: 0.9007 0.1996 0.2333
O: 0.2374 0.5247 0.5708

***

Entry 4:
## Mn3ZnO7 (PBE with a Hubbard U)

Data for a geometry-optimized Mn3ZnO7 structure.

Summary:
Crystal system ... orthorhombic
ΔE to the lowest computed polymorph ... 313 meV/atom
E (MP2020) ... -7.265 eV/atom
Total magnetic moment ... 9.00 μB/f.u.

abc: 5.5524 9.3444 10.4474
angles: 90.00 90.00 90.00
Atoms (fractional coordinates):
O: 0.4990 0.7229 0.1157
Zn: 0.6175 0.9903 0.7500
O: 0.5010 0.2771 0.6157
O: 0.0010 0.2229 0.1157
Zn: 0.8825 0.4903 0.7500
Mn: 0.2275 0.7398 0.7500
O: 0.2191 0.5528 0.7500
Mn: 0.7727 0.2063 0.9772
Mn: 0.2727 0.2937 0.0228
O: 0.9990 0.7771 0.6157
O: 0.9598 0.7105 0.1190
O: 0.7724 0.0334 0.5879
O: 0.9598 0.7105 0.3810
O: 0.9990 0.7771 0.8843
'''
[Here the piece continues]
That contributor needs to spend some time caulking and painting under that eve. We've been very lucky compared to most. We're supporting as many businesses as we can safely and take short 2-3 hour drives that don't require getting out of the vehicle to keep from going too stir crazy. The farther we get into this the more I notice mild melancholy creeping in just from all the people struggling to survive with few places to turn and businesses that have been around for decades permanently closing. I know the fallout is not fully here yet and every stupid thing on TV starts with some version of "In these trying times" yada, yada. It just makes it worse. You can't escape it even by turning everything off. We've got birds on the feeders, hummers battling each other every 2 minutes in the back yard, wild baby bunny rabbits running around the yard, gorgeous 60,000 ft thunderheads roaming around dropping hail, and yet with all that beauty, we have all of this uncertainty hanging around. It's hard to shake. That's all I have to say about that.
For a while, someone around here was knitting/crocheting/installing shorts, for trees, where the main trunk would fork into two branches (like an upside down torso transitioning to legs). Keep 'em decent...
Yeah, my plan is to keep plodding along in life as long as that's possible. I left an engineering position of over 35 years to start a new one on March 16th. My new employer produces electrical systems that go into hospitals and healthcare facilities. So I've been extremely busy working from home 4 days/week. then rotating with other engineers to support production at the plant one day/week. My old employer is closed with everyone furloughed. So I jumped from that burning ship just in a nick of time. Meanwhile, I'm working around my house taking care of the inevitable work that pops up. In fact I'll be leaving in a little while to go to a fencing yard to pick up some new split rail posts/rails that need replacing after 27 years in the ground.
We did some fencing replacement along the east side of our property a couple of years back. The old fencing was there for 20ish years, so decent life: Hopefully you don't need a 60 pound jackhammer to sink the posts. My back was feeling it after that. But a good activity of the weather is decent.
I have learned that laughter truly is the best medicine. If interested, these crazy corona-related gizmos might put a smile on your face.
I've been spending WAY too much time at Prius Chat. Not making friends, and badly influencing people. I heat up a lot of Frozen Dinners. Do we even call them TV. Dinners anymore? And then I complain about the gap between what actually comes out of the oven and what is pictured on the box. I know there are bigger struggles/challenges being faced by many. But really? Why put a picture of the BEST Thanksgiving meal anyone has ever ate on the box, but then offer a product that looks like it came from the trenches of WWI? I know there has to be a gap between picture and product, and at $2.50, I probably shouldn't expect the Norman Rockwell presentation to be reality, BUT what you actually GET is like a cruel, factory created joke. I have watched everything on streaming I wanted to watch. I then started in on things I thought I might want to watch, finished those. Next, I started in on things that might surprise me and be better than I thought or hoped. Then when I realized there actually was a danger of my running out of toilet paper, I snapped and watched every single talking dog movie I could find on HBO, Netflix and Amazon Prime Video. Did you know " Beverly Hills Chihuahua " actually has Jamie Lee Curtis in it, AND has very little to do with Beverly Hills, as most of it takes place in Mexico?- Plus...there are sequels. FYI there is an "Underdog" movie that features Peter Dinklage as Simon Bar Sinister. It's not great but IMO it's better lit than the final few episodes of Game of Thrones. I'm emotionally regressing as I binge watched 3 available seasons of the Partridge Family on IMDb. But damn if that family didn't have a whole lot of lovin and just want everyone to be happy. What's not to like? IMO the only thing that could of made that series better was a talking or singing dog. They start the season riding around in a Multi-Colored Bus. They end the series riding around in a Station Wagon as big as that Bus. Gotta love the cars of the 70's. Seriously the station wagon is huge, AND it has a roof rack, even though I can't imagine ever needing it. Since the Station Wagon is large enough to qualify for it's own Post Office. I muse as to the MPG. Gas must of been nearly free. Anyway, as you can tell, I'm doing great. Nothing 6 cups of Tasters Choice can't take the edge off.
I have a John Deere with a 3 point hitch and PTO for a post-hole digger. I'm way past the point in life where I'm hand digging 40" deep holes. I've been watching more Youtube videos, and a streamed movie every so often. Fortunately, cooking has always been something I enjoy, and have been planning meals from scratch for the most part, with a visit to a local take-out from time to time.
Kevin Williamson wrote a piece back on March 15th that included this: "Some of us already have entered into a period of voluntary social isolation. (Some of us are writers and barely notice the difference.)"